A foggy Brevet Populaire to ease into the new year

2025.01.20 12:11 zonderweg A foggy Brevet Populaire to ease into the new year

A foggy Brevet Populaire to ease into the new year submitted by zonderweg to randonneuring [link] [comments]

2025.01.20 12:11 Educational-Pay4110 Polaganje za komisioniranje robe?

Pozdrav, imam pitanje jedno, ako neko zna, da li ja samostalno mogu da polažem za elektricni paletar (staker), ili se to ide preko firme, ovde gde radim firma organizuje za taj test/ polaganje, ali ljudima ne daju potvrdu da su i polozili,jer navodno to firma placa i to ostaje u firmi, dakle da li ja mogu samostalno da platim to polaganje....unapred hvala
submitted by Educational-Pay4110 to serbia [link] [comments]

2025.01.20 12:11 reddit_lss_2 Post recovery test from profile for 20/1/2025 12:10:10

submitted by reddit_lss_2 to where_to_post_test [link] [comments]

2025.01.20 12:11 luckystrike1117 Help me find this book

Just saw a IG post about a book but I accidentally scrolled and can't find it. It's about a world where opposite genders can't interact but he catches her when she falls in front of everyone. I think it was a white cover and started with an O or a D? Help pls 😭
submitted by luckystrike1117 to suggestmeabook [link] [comments]

2025.01.20 12:11 mynameisjack1541 .

. submitted by mynameisjack1541 to nokotan [link] [comments]

2025.01.20 12:11 Actual_Celery_950 Aicinājums

Labdien! Esmu "Māszinības" programmas students, aicinu Rīgas iedzīvotājus aizpildīt manu aptauju par pilno narkozi, jeb vispārēju anestēzīju. Aptauja ir pilnībā anonīma un aizņems ~5 minūtes. Paldies! Aptaujas saite: https://forms.gle/dpe4rvWqexCeB1XUA
submitted by Actual_Celery_950 to Riga [link] [comments]

These calculated crystals were left in the page by mistake >
- - -
# PBE-GGA TaCoRh2Au, optimized geometry
data_TaCoRh2Au
_chemical_formula_sum 'Ta1 Co1 Rh2 Au1'
_symmetry_space_group_name_H-M 'P 4/m m m'
_symmetry_Int_Tables_number 123
_symmetry_space_group_name_Hall '-P 4 2'
_cell_length_a 4.3974
_cell_length_b 4.3974
_cell_length_c 4.6251
_cell_angle_alpha 90.00
_cell_angle_beta 90.00
_cell_angle_gamma 90.00
loop_
_atom_site_label
_atom_site_type_symbol
_atom_site_fract_x
_atom_site_fract_y
_atom_site_fract_z
Ta1 Ta 0.0000 0.0000 0.0000
Co1 Co 0.5000 0.5000 0.5000
Rh1 Rh 0.0000 0.5000 0.5000
Au1 Au 0.5000 0.5000 0.0000
# - Size of the total moment: 1.46 μB per formula unit
# - E_tot: -6.326 eV per atom
# - Formation enthalpy at 0 K: 1061.6 meV/atom
# - D(E_F): 1.342 states/eV/atom


# 1
! GGA-PBE La2NdH4, optimized geometry; values from VASP
&SYSTEM
  ibrav = 0, nat = 7, ntyp = 3
/
ATOMIC_SPECIES
H 1.01 H.upf
Nd 144.24 Nd.upf
La 138.91 La.upf
CELL_PARAMETERS angstrom
-3.5647 -1.1834 1.9703
0.4806 -3.9394 -1.4966
2.0900 -4.2331 5.8039
ATOMIC_POSITIONS crystal
H 0.1678 0.1678 0.6644
H 0.8322 0.8322 0.3356
H 0.0000 0.5000 0.0000
H 0.5000 0.0000 0.0000
Nd 0.0000 0.0000 0.0000
La 0.3377 0.3377 0.3247
La 0.6623 0.6623 0.6753
! - final energy (eV/atom) = -4.25
! - space-group type = No. 139
! - M_tot (μB/cell) = 0.0
! - crystal system = tetragonal


# 2
! GGA-PBE LaNdH, optimized geometry; values from VASP
&SYSTEM
  ibrav = 0, nat = 3, ntyp = 3
/
ATOMIC_SPECIES
La 138.91 La.upf
Nd 144.24 Nd.upf
H 1.01 H.upf
CELL_PARAMETERS angstrom
-3.9631 0.1089 -0.5867
1.5842 -2.7182 2.4826
-0.5448 3.6653 4.3608
ATOMIC_POSITIONS crystal
La 0.6667 0.3333 0.5000
Nd 0.3333 0.6667 0.0000
H 0.3333 0.6667 0.5000
! - space-group type = No. 187
! - M_tot (μB/cell) = 0.5
! - offset from the most stable computed form (meV/atom) = 20
! - crystal system = hexagonal


# 3
! GGA-PBE LaNdH2, optimized geometry; values from VASP
&SYSTEM
  ibrav = 0, nat = 4, ntyp = 3
/
ATOMIC_SPECIES
La 138.91 La.upf
Nd 144.24 Nd.upf
H 1.01 H.upf
CELL_PARAMETERS angstrom
3.6362 0.0000 0.0000
1.8181 3.1491 0.0000
1.8181 1.0497 6.2479
ATOMIC_POSITIONS crystal
La 0.4932 0.4932 0.5205
Nd 0.6688 0.6688 0.9937
H 0.0774 0.0774 0.7677
H 0.2606 0.2606 0.2181
! - space-group type = No. 160
! - M_tot (μB/cell) = 0.0
! - offset from the most stable computed form (meV/atom) = 105
! - crystal system = trigonal


# 4
! GGA-PBE LaNdH2, optimized geometry; values from VASP
&SYSTEM
  ibrav = 0, nat = 4, ntyp = 3
/
ATOMIC_SPECIES
H 1.01 H.upf
Nd 144.24 Nd.upf
La 138.91 La.upf
CELL_PARAMETERS angstrom
-2.6118 -2.1802 1.3606
0.9190 -3.0524 1.8067
-0.4537 1.3382 6.2072
ATOMIC_POSITIONS crystal
H 0.7528 0.7528 0.7417
H 0.2472 0.2472 0.2583
Nd 0.5000 0.5000 0.5000
La 0.0000 0.0000 0.0000
! - space-group type = No. 166
! - M_tot (μB/cell) = 0.0
! - offset from the most stable computed form (meV/atom) = 0
! - crystal system = trigonal


# 5
! GGA-PBE La2Nd3H8, optimized geometry; values from VASP
&SYSTEM
  ibrav = 0, nat = 13, ntyp = 3
/
ATOMIC_SPECIES
La 138.91 La.upf
Nd 144.24 Nd.upf
- - -
So much for the calculated crystals >

2025.01.20 12:11 Own_Tangelo_292see AMEX Netherlands credit card

If you apply now you get a great deal with my referral link: https://americanexpress.com/nl-nl/referral/platinum?ref=wESTEBuDWA&CPID=100364541
It's a great credit card for you travellers! Enjoy!
submitted by Own_Tangelo_292see to Netherlands [link] [comments]

2025.01.20 12:11 ProfessionalUnit3809 Cute

Cute submitted by ProfessionalUnit3809 to Dragonballsuper [link] [comments]

2025.01.20 12:11 Remarkable_Ant_1360 guys please help (profile review)

my profile - 8/8/8 , 2+ work experience at amazon gnef nmat - 209 ( i know its low) but is there a chance tapmi might take this xat -75 percentile gmat focus edition-555 please any sort of help or suggestions for other colleges as well are welcome
submitted by Remarkable_Ant_1360 to CATpreparation [link] [comments]

2025.01.20 12:11 lawheartpirates The strategy I used to buy my wife an iPhone 16

Hi everyone! I’m not sure if you’ve heard, but the І0SТ network is currently being tested. I’ve been participating in this for some time now, and honestly, the results have been amazing. In just one week, I managed to earn 1,100 bucks. To put this into perspective, my monthly salary at work is only 2,500 dollars. Thanks to this, I was finally able to gift my wife the iPhone 16 for her birthday. I’m incredibly grateful to the Reddit user who introduced me to this method. If you’re not familiar with how it works, here’s a detailed guide:
Register on a suitable exchange
Buy I0ST with USDТ
Go to Wallet -> Spot -> І0SТ -> Deposit
Copy the l0SТ МЕМО
Select Withdraw and fill in the fields as follows:
Address: іоst_аwаrd
Network: I0ST
Меmо: Paste the copied mеmо. It’s crucial to enter it each time!
Amount: It’s recommended to start with a small аmоunt to ensure no errors
Send and wait about minutes 10
Receive your ɑmоunt back with an additional 0.5 % (Daily limit: 20)
It’s not as complicated as it seems, and the bonus is definitely worth it. I’m sharing this because I know how hard it can be to start your journey. If you don't understand something, you can write to me, I'll try to help you. If this helps you, I’d appreciate a small tip as a thank-you. Thanks for your attention, and good luck!
submitted by lawheartpirates to Daytrading [link] [comments]

2025.01.20 12:11 Miserable_Analyst_66 Interview invite r2 darden

Has anyone from India received a r2 interview invite for darden?
submitted by Miserable_Analyst_66 to MBA [link] [comments]

2025.01.20 12:11 hassan_theitguy MDTs Engagement Platform

submitted by hassan_theitguy to TrinbagoTech [link] [comments]

2025.01.20 12:11 JimStrike My recently bought 156 1.8TS

My recently bought 156 1.8TS Hello everyone. I have had this 156 for about a month now and thought you guys might like it. It is an 2001 1.8ts with a euro 2 motor swapped in. Chipped from around 144 to 152hp and 167nm to 181nm. Redline increased from 6800 to 7300. Really fun to drive. It has eibach lowering springs and Koni dampers. It has driven around 200.000km's and the only rust spots I managed to find in the garage are in the water drain in the back right and the bumper supports. I plan weld in some new steel and get the body rust free. I already bought bigger brakes and plan to install them in the future. And the timing belt and camshaft phase changer need to be changed soon to. I managed to find a new phase changer from Finland and will be installing that with the timing belt. Hopefully many trouble free kilometers!
submitted by JimStrike to AlfaRomeo [link] [comments]

2025.01.20 12:11 Critical_Winner_1299 Homemade pico de gallo + Lime chips

Homemade pico de gallo + Lime chips submitted by Critical_Winner_1299 to tomatoes [link] [comments]

2025.01.20 12:11 TurdBoiDuckGang My cat named Prowler. 💜 💚

My cat named Prowler. 💜 💚 submitted by TurdBoiDuckGang to cats [link] [comments]

2025.01.20 12:11 No_Reach_1870 Window banners and stickers on fk8

Window banners and stickers on fk8 Photoshopped some window banners and stickers yay or nay. Part of me says it goes with the red accents and the other probably wiser part of me says putting a $10 sticker on a 45k car is just silly.
submitted by No_Reach_1870 to Civic_Type_R [link] [comments]

2025.01.20 12:11 twins049 Is this normal why does it take so long

Is this normal why does it take so long It has been like that for the past 5 days
submitted by twins049 to AllChinabuy [link] [comments]

2025.01.20 12:11 Antique_Change2805 Ukraine wirbt um Rückkehr von 20 Millionen Landleuten im Ausland

Ukraine wirbt um Rückkehr von 20 Millionen Landleuten im Ausland submitted by Antique_Change2805 to DePi [link] [comments]

2025.01.20 12:11 shorty___666 Which one of you good little piggies is going to reimburse me for my holiday coming up 🤭

Which one of you good little piggies is going to reimburse me for my holiday coming up 🤭 submitted by shorty___666 to findommes [link] [comments]

2025.01.20 12:11 peoplemagazine Chappell Roan Says She’d Be 'Way Bigger' If She ‘Wore a Muzzle': 'I'd Be More Successful'

submitted by peoplemagazine to chappellroan [link] [comments]

2025.01.20 12:11 RobotiSC Episode 3 Commemorative Illustration by 2nd KA @ankomochi214

Episode 3 Commemorative Illustration by 2nd KA @ankomochi214 submitted by RobotiSC to Zenshu [link] [comments]

2025.01.20 12:11 Original-Bottle-7001 Man Pleads Guilty to Southport Dance Class Murders

The man who carried out the Southport Dance Class Murders in July last year has pleaded guilty to the killings of three young girls and several other charges.
submitted by Original-Bottle-7001 to tscnewschannel [link] [comments]

2025.01.20 12:11 Warm_Sugar8888 Boycott

Boycott submitted by Warm_Sugar8888 to TexasDemocrat [link] [comments]

2025.01.20 12:11 documitra-us Did you know your documents might be rejected if they aren’t Apostilled?

Starting December 30th 2024, any document issued outside India must be Apostilled before submitting an OCI application. Now, what exactly is Apostille? Apostille is authentication by the issuing authority, like the Secretary of State. It’s not notarization. It verifies your document is genuine and valid for use in foreign countries. Without it, your application could face delays or rejection. This requirement is currently applicable in India and the USA. So, before you submit your OCI application, make sure your documents are Apostilled.
submitted by documitra-us to OCIcardfrroservices [link] [comments]

2025.01.20 12:11 nikkita_8888 Micat

I got 77 percentile in CAT. Is there any chance if I will gey call from MICAT with a score of 16
submitted by nikkita_8888 to CATPrep [link] [comments]
